
There's quite a lot that any hiring team must decide to get the most from the hiring process and reach the best possible hiring decision. An important first step is to decide on the interview format.

This decision on format makes a big difference in the job search experience, so it's important to consider your options. A common consideration is when to rely solely on individual interviews and when to introduce a panel interview. 

When you default on the interview format, you risk losing the opportunity to get to know a candidate in a new way. Panel interviews allow for a unique exploration of culture chemistry that's hard to get with any other interview format.

To bring some clarity on the matter, we’ll first dig into what the panel interview is. We’ll then discuss when this format is the best option and give you tips for successfully conducting it. We’ll also show you 11 sample panel interview questions you can use or adapt.

What Is a Panel Interview?

Misplaced quantum chemistry results >
'''
one.
An isolated ion of composition C7H13N2O and charge +1. Source: OMol25; level of theory: ωB97M-V/def2-TZVPD.

Summary:
Gap between HOMO and LUMO ... 9.2 eV
Lowest unoccupied orbital energy ... -4.050 eV
Charge ... +1
SMILES ... CC1=CN=C[C@@H](C)[N@@H+]1CO

Cartesian coordinates (Å):
C (1.4391, 1.7005, -0.7809)
C (0.2566, 1.0379, -0.1672)
C (-0.9180, 1.5214, 0.3363)
N (-1.6217, 0.8224, 1.2227)
C (-1.6027, -0.4551, 1.2160)
C (-0.9902, -1.1179, -0.0093)
C (-1.6883, -0.9409, -1.3772)
N (0.3521, -0.4615, 0.0020)
C (1.2318, -0.8817, 1.1244)
O (2.5471, -0.5253, 0.7926)
H (1.1553, 2.6417, -1.0931)
H (1.6778, 1.1179, -1.7991)
H (2.2100, 1.8023, -0.0694)
H (-1.1569, 2.5216, 0.1140)
H (-1.9626, -1.0522, 2.0564)
H (-0.8352, -2.1586, 0.1685)
H (-2.6696, -0.3391, -1.3560)
H (-2.0419, -1.8986, -1.7336)
H (-0.9930, -0.5210, -2.0738)
H (0.6451, -0.7200, -0.9477)
H (0.7432, -0.3192, 1.9642)
H (1.2490, -1.9851, 1.0567)
H (2.9732, 0.2105, 1.3535)


two.
An isolated ion of composition C7H13N2O and charge +1. Source: OMol25; level of theory: ωB97M-V/def2-TZVPD.

Summary:
Gap between HOMO and LUMO (alpha / beta) ... 6.3 / 3.2 eV
Lowest unoccupied orbital energy (alpha / beta) ... -6.029 / -7.818 eV
Charge ... +1

Cartesian coordinates (Å):
C (-2.2489, -0.4629, -0.3092)
C (-3.0675, 1.4165, -1.1742)
C (0.2140, 0.2160, -1.6313)
C (-1.2138, 0.3429, -2.3406)
C (1.7841, -2.3097, 0.0889)
C (0.6953, -0.5590, 1.5973)
C (1.1666, -0.8949, 0.1416)
N (0.1224, -0.8789, -0.7897)
N (-2.3023, 0.3950, -1.2919)
O (-2.7539, -1.2490, 0.3630)
H (-2.8169, 2.2527, -1.7432)
H (-4.1384, 1.4205, -0.8607)
H (0.9848, 0.1496, -2.3224)
H (0.4331, 1.1375, -0.9627)
H (-1.2453, 1.0381, -3.1300)
H (-1.4513, -0.5739, -2.7521)
H (1.1815, -3.1134, 0.5633)
H (1.6457, -2.5989, -0.9201)
H (2.7861, -2.2726, 0.4647)
H (1.5185, -0.7528, 2.2416)
H (-0.0355, -1.1964, 1.9641)
H (0.4916, 0.4559, 1.7254)
H (1.9711, -0.1033, -0.0542)


The structure with the greatest stability is one.


one.
An isolated molecule of C19H26N4O5S. Source: OMol25; level of theory: ωB97M-V/def2-TZVPD.

Summary:
Gap between HOMO and LUMO ... 8.5 eV
Lowest unoccupied orbital energy ... 0.554 eV
Charge ... 0
SMILES ... CCOc1ccc(OCC)c(NC(=O)C2CCN(S(=O)(=O)c3cnc[nH]3)CC2)c1

Cartesian coordinates (Å):
C (-7.0667, -0.3257, -0.4619)
C (-6.0904, -0.0581, -1.6045)
O (-4.9813, 0.7182, -1.2021)
C (-3.9777, 0.1462, -0.4829)
C (-3.8632, -1.2006, -0.1737)
C (-2.7730, -1.6662, 0.5519)
C (-1.7876, -0.8007, 0.9791)
O (-0.6625, -1.1525, 1.6922)
C (-0.4711, -2.5163, 2.0131)
C (0.8566, -2.6350, 2.7464)
C (-1.9042, 0.5698, 0.6720)
N (-0.8646, 1.3944, 1.1240)
C (-0.4251, 2.5474, 0.5626)
O (-1.0458, 3.1741, -0.2685)
C (0.9496, 3.0456, 1.0364)
C (1.7638, 3.3665, -0.2254)
C (2.1047, 2.0646, -0.9420)
N (2.8939, 1.2202, -0.0693)
S (3.6078, -0.0752, -0.8064)
O (4.5199, -0.6810, 0.1254)
O (4.1047, 0.3381, -2.0803)
C (2.3390, -1.3172, -1.0156)
C (1.0324, -1.4031, -1.4243)
N (0.5962, -2.6794, -1.2952)
C (1.6034, -3.3641, -0.8218)
N (2.6847, -2.5820, -0.6275)
'''
Here the entry continues >

Panel interviews have different connotations for different teams. Here we mean a type of group interview that involves two to five team members who interview one candidate. The job seeker is presented before the entire group, and each panelist takes turns asking planned interview questions. 

A panel interview is different from back-to-back style interviews that involve a job seeker coming onsite for a series of individual interviews. In a back-to-back interview, the interviews are scheduled in blocks with various decision-makers — the job seeker rotates through interviews with the different team members.

A panel interview is also different from group interviews where candidates are pooled in a group and interviewed en masse by one or two moderators. In a panel interview, there is typically only one candidate but multiple team members who ask the questions. The goal of a panel interview is for each panel member to represent a different element of the business and assess the candidate from their unique perspective. 

The goal of any hiring team is to minimize risky hires, and the panel interview does this by observing how a candidate responds to team members and their questions. From this collective experience, the panelists can reach a well-rounded hiring decision.

How Do Panel Interviews Work?

A panel interview provides a unique opportunity to have the most relevant decision-makers in one room with the candidate. Panel interviews are typically a late or final round of interviews once a candidate has gone through at least a screening interview. 

It's best if the panel members are kept to a maximum of five to avoid overwhelming the candidates. Additionally, panel interviews will often meet with multiple candidates on the same day to mitigate disruptions to team productivity. 

Panels may include the hiring managers, human resources, recruiters, and any team members or higher-up who would work closely with the candidate if hired.

The interview format is largely a question and answer format, but the candidate must sometimes give a presentation as part of a panel interview. 

It helps for human resources or the hiring manager to act as the facilitator of the interview to help keep time and organization. Everyone should be well aware of their role in the interview process, whether it’s to represent the company culture, facilitate, or assess the candidate’s skills. Your preparation can create a calm environment where the candidate will feel at ease and represent themselves much better. 

The panel interview format gives insight into a candidate’s behavioral cues, body language, ability to communicate with a group of people (panelists), navigate questions and follow-up questions, and multitask under pressure. It simulates a fast-paced environment, like a start-up, where there are often many balls in the air on a given day.

When Is a Panel Interview Format the Best Choice?

A panel interview format applies to all industries but is most commonly used by government agencies, non-profits, schools including higher education facilities, and various consulting companies. It's a useful format to reach a consensus in a time-saving manner, and it involves many key stakeholders. 

The shared interview experience can help reduce bias, increase assessment accuracy, and promote greater diversity among hires.

Panel interviews can be a helpful training opportunity for any hiring managers who are new to their role or team members who may one day have a hand in hiring and want to see how to conduct interviews.

If the term “culture fit” or “culture add” is on your job description, chances are the panel interview is a wise choice. That’s because it can test a candidate’s ability to fit into your company culture better than individual interviews can.

Panel Interview Tips

To reap the rewards mentioned above, consider the following: 

  • Ask every finalist the same prepared questions.
  • Outline the agenda at the start of every interview.
  • Establish a lead facilitator from the panelists.
  • Ensure there is a balanced and diverse representation of panel members in the room — Prelude does this intelligently with the “Attributes” feature.
  • Schedule buffer periods between panel interviews to debrief.
  • Prepare a scoring system so that candidates are evaluated against the most important criteria.
  • Consider the candidate experience and how to make the candidate comfortable during the process.
  • Emulate your company culture in the room.
  • Always leave time for the candidate’s questions.

11 Common Panel Interview Questions

If you're new to conducting panel interviews, it can feel overwhelming. As long as everyone has a clear sense of their role during the interview process, it should be relatively easy to transfer your interviewing skills to a panel interview format. 

Here are some sample questions to get the ball rolling:

  1. Can you tell us about a time you experienced conflict within a team and how you managed it?
  2. How do you respond to negative feedback?
  3. What kinds of methods or tools do you use to keep organized?
  4. Tell us something about you that isn't listed on your resume.
  5. What is the most difficult decision that you had to make in a previous position? What was your process in reaching your conclusion?
  6. Describe the accomplishment you're most proud of and how you achieved it.
  7. Can you share an example of a difficult task you've had to learn quickly? What steps did you take to learn it?
  8. What is an example of a creative solution you came up with that benefitted your organization in a previous role?
  9. How do you like to be managed?
  10. How do you know when you're succeeding in your work?
  11. Tell us about a time when you led by example.

Panel Interviews Test Company Culture Fit

=====
Computed, not measured: the molecule C4H8O2, with ωB97M-V/def2-TZVPD.

Calculated values
Relative energy (zero: lowest compared OMol25 entry of this formula, charge and spin) = 2.465 eV
DFT total energy = -8370.8163 eV
Structure (SMILES) = CCO[C@@H]1CO1
HOMO level = -9.649 eV
Lowest unoccupied orbital energy = 0.0408 Ha

CARTESIAN COORDINATES (ANGSTROEM)
O  1.6866  -0.5979  0.7785
O  -0.4079  0.6216  0.4743
C  -0.6568  -0.0122  -0.7708
C  2.0461  0.7570  0.4083
C  -1.8695  -0.8818  -0.5135
C  0.8039  0.4493  1.0844
H  0.2117  -0.5988  -1.0854
H  -1.6096  -1.6100  0.2615
H  0.6863  0.5872  2.1566
H  -2.2129  -1.4064  -1.4074
H  -0.8479  0.7547  -1.5334
H  2.0300  0.8779  -0.6700
H  2.8162  1.3134  0.9373
H  -2.6762  -0.2540  -0.1204

Atomic partial charges in e from the natural (NBO) method, atoms 1 to 8: -0.50 -0.53 -0.08 -0.16 -0.62 0.35 0.19 0.21

Computed, not measured: a structure of composition C11H12N4PdSTe, with ωB97M-V/def2-TZVPD.

Calculated values
Total charge = -2
DFT total energy = -39167.1353 eV
HOMO level = 1.241 eV
Lowest unoccupied orbital energy = 0.1838 Ha

CARTESIAN COORDINATES (ANGSTROEM)
Te  -1.7864  2.4104  0.9122
Pd  -0.2110  0.4191  0.8897
S  0.1905  2.1076  2.5499
N  2.7515  1.2644  1.8964
N  1.9475  -0.5037  0.6161
N  -1.2615  -2.0406  0.8934
N  2.4882  3.4533  1.6577
C  2.8379  -0.0288  1.5252
C  -1.5518  -0.9190  3.1545
C  3.8658  -2.2063  1.7077
C  3.4307  3.2407  2.6358
C  -1.2158  -1.1887  1.7200
C  3.6359  1.9220  2.7931
C  1.7741  2.2175  1.3446
C  3.8236  -0.8873  2.0848
C  2.0262  -1.7870  0.2739
C  1.7833  4.6921  1.5062
C  2.9452  -2.6917  0.7770
H  0.9186  4.7536  2.1778
H  1.2750  -2.1128  -0.4374
H  -2.0155  0.0597  3.2553
H  1.4003  4.7599  0.4859
H  4.5374  -0.5026  2.7976
H  4.6147  -2.8625  2.1395
H  3.9376  4.0537  3.1378
H  4.3294  1.4234  3.4467
H  -2.2259  -1.7007  3.5199
H  2.9248  -3.7292  0.4719
H  -0.6375  -0.9138  3.7426
H  2.4641  5.5266  1.6987

Atomic partial charges in e from the natural (NBO) method, atoms 1 to 8: -0.65 0.31 -0.44 -0.44 -0.51 -0.56 -0.48 0.40

Computed, not measured: the molecule C12H12N4O in a non-equilibrium geometry, with ωB97M-V/def2-TZVPD.

Calculated values
Relative energy (zero: lowest compared OMol25 entry of this formula, charge and spin) = 0.615 eV
DFT total energy = -20645.2227 eV
Structure (SMILES) = O=C(NNCc1ccccc1)c1ncccn1
HOMO level = -8.579 eV
Lowest unoccupied orbital energy = -0.0004 Ha

CARTESIAN COORDINATES (ANGSTROEM)
O  -1.2162  -1.2375  1.2740
N  0.3953  0.6506  0.0702
N  -0.2609  -3.9230  2.0175
N  0.7526  -0.6781  0.4256
N  1.7770  -3.1834  1.1784
C  -0.5090  2.3284  -1.4488
C  2.3221  -4.3423  1.4360
C  0.1494  0.9526  -1.3432
C  -1.6666  4.9080  -1.3872
C  -0.0475  -1.5762  1.1060
C  0.2697  -5.1297  2.3219
C  -2.4535  3.7615  -1.3382
C  0.2993  3.5016  -1.4819
C  -0.3024  4.7860  -1.4044
C  0.4801  -2.9675  1.3977
C  1.5968  -5.3805  2.0275
C  -1.9304  2.4752  -1.3802
H  -0.4067  -5.9073  2.6934
H  2.0460  -6.3495  2.2820
=====

An obvious benefit of bringing panel interviews into the hiring process is you can "walk the talk" of your company culture for the candidate. It also allows you to observe the chemistry between current team members and a candidate and speed up the hiring process.

Where LinkedIn, resumes, and individual interviews can give you a sense of a candidate's skills and experience, panel interviews also allow a group of people the candidate will work with to explore their chemistry with the candidate.

While it may seem nerve-racking to pause the workday so the involved team members can conduct this type of interview, a panel interview can be a valuable investment in the hiring process. However, finding a time that works for everyone can be a hassle. To more easily schedule panel interviews, you can use Prelude to eliminate manual coordination.

The next time you have a new candidate, try incorporating a panel interview to see the many ways it can benefit your team and candidates alike.